@DavidChurchman Thank you for the assist! This has been really helpful and pointed me in the right way to get this resolved.
@DavidChurchman Thank you very much for the information in regards to what Pivot Tables and the beast mode formula. For the 'Nu' is this where I would place the dimension?
@Data_Devon Thank you for the assistance! This is exactly what we were looking for! Thank you and have a great day!
@DashboardDude Thank you very much for the video. That was really helpful! I greatly appreciate it. This was very helpful and exactly what I looking for. Thank you!
Thank you for the assistant @ColemenWilson !
@ColemenWilson @ggenovese Thank you for the assistance! That definitely helped me out greatly. Thank you and Happy Holidays to you and your families!
@ggenovese Thank you, let me give that a try as well.
I do apologize if my explanation was not clear or understandable. @ColemenWilson Here is the excel sheet with the just basic filters of only receiving data showing sites with specific Types. The 3rd Type can be either or but a site must have a "Survey" ticket then a "Cutover and Test" ticket and then either an "EPIK" or…
To be clear, we want the data to show on each row - 3 of the same sites with a Survey Type row , Cutover and Test type row and EPIK or Greenix type row.
ticket can be closed
all set. no need for assistance
@MarkSnodgrass Thank you sir for the assistance! When testing different formulas I also tried concat but did not use the " Left" function inside the parenthesis. Thank you again for the assistance.
@nmizzell Thank you for the assistance. Greatly appreciated!
@nmizzell . ohh, I have to create a new data set for this. Yes please, i would need to have this shown.
hi @nmizzell, thank you for the assistance. So those numbers represent how many tickets have been opened. The columns- non-g360, non-g360- fs, and g360-fs are sources on where are tickets are being created. Non-G360 column shows 3 tickets have been created with a total revenue of $$$$ from those 3 tickets. And so forth…
hi @nmizzell , would you be be able to assist on this beast mode questions please?
hi @MichelleH , any thoughts on what beast mode calc can be created to provide the data? Thank you again for the assistance.
Hi @MichelleH, please see below. Basically, I want the Revenue to show for each source- Non -G360, Non-360-FS, and G360-FS. These show how many tickets are created for each and the revenue total it produces for the # of tickets. We do have a measurement for the Total revenue but we want it separated from each source.…
@nmizzell @ArborRose Thank you both for the assistance. This greatly appreciated and it helped a lot.
@nmizzell Thank you for the assistance. Essentially, we want to have a table that shows 5 Boards listing the average daily ticket queue in the given month for the past 15 months. Disregard the title of Total tickets- 8 weeks . So the data should show - the average daily tickets for the month of Sept '23 is 25 tickets. Then…
@ArborRose , getting a syntax error. I removed the 1,7, we still want to calculate the weekend
Thank you for the reply! Will this work for average daily ( weekday) ticket queue by month?
Sorry, this is calculating, Average daily (weekday) ticket queue by month
Thank you @ArborRose and @ST_-Superman-_ Your assistance is greatly appreciated! Hope you both have a great weekend!
Next to the entry, the page also holds data records
- - -
# Li9Mn2Co5O16

An optimized crystal structure of Li9Mn2Co5O16 (PBE with a Hubbard U, the Materials Project).

The structure in extended XYZ format:
```
32
Lattice="2.9091 0.0000 0.0000 -0.1249 5.0908 0.0000 -0.3178 -1.4728 19.4156" Properties=species:S:1:pos:R:3 pbc="T T T"
Li 0.0000 0.0000 0.0000
Li -0.2211 1.7089 10.0521
Li -0.2576 0.2754 14.5062
Li -0.1543 3.4351 4.8594
Li 1.1484 4.3311 9.8893
Li 1.4049 2.5119 0.0362
Li 1.2253 0.9875 12.2155
Li 1.3751 0.9415 4.8532
Li 1.1698 2.7502 14.5728
Mn -0.1280 0.0837 7.3384
Mn -0.2903 3.5404 12.2014
Co -0.3400 1.9019 17.0410
Co -0.0654 1.7230 2.4895
Co 1.2690 2.6253 7.3565
Co 1.3171 4.2718 2.4730
Co 1.1732 -0.6401 17.0324
O -0.2354 3.5798 8.4082
O -0.1828 -0.0028 11.0563
O -0.2741 2.0065 13.3344
O -0.1349 1.6908 6.2319
O -0.0332 0.0959 3.5869
O -0.3103 3.6512 15.9453
O 1.2405 2.6257 3.6304
O 1.0244 2.7085 18.1898
O 1.2170 4.4154 6.2486
O 1.1800 2.7481 11.1114
O 1.3168 0.8364 8.4020
O 1.2812 -0.7760 13.2589
O 1.2105 1.0983 15.9267
O 1.5317 0.8376 1.3840
O 2.5503 0.1688 18.1803
O 2.7915 3.3412 1.4105
```

ΔE to the lowest computed polymorph, eV/atom: 0.0486
Density, g/cm³: 4.18
Energy relative to the elements, eV/atom: -1.82
Space-group type: P1, No. 1



# Zn2SnWO6

An optimized crystal structure of Zn2SnWO6 (PBE with a Hubbard U, the Materials Project).

The structure in extended XYZ format:
```
20
Lattice="5.5368 0.0000 0.0000 0.0000 5.4983 0.0000 -5.0507 0.0000 8.3570" Properties=species:S:1:pos:R:3 pbc="T T T"
Zn -0.0774 0.0915 2.0069
Zn -2.6028 2.6577 6.1854
Zn 3.0889 2.8406 2.1716
Zn 0.5636 5.4068 6.3501
Sn -2.5253 0.0000 4.1785
Sn 0.0000 2.7492 0.0000
W 2.7684 0.0000 0.0000
W 0.2431 2.7492 4.1785
O -3.0666 0.7219 6.6010
O -0.5412 2.0273 2.4224
O -1.4887 3.4407 4.7016
O 1.0366 4.8068 0.5231
O -1.8000 3.8243 7.5487
O 0.7253 4.4232 3.3702
O -0.2392 1.0751 4.9869
O 2.2862 1.6741 0.8084
O -0.5505 0.6915 7.8339
O 1.9749 2.0576 3.6554
O 1.0274 3.4710 5.9346
O 3.5527 4.7765 1.7561
```

ΔE to the lowest computed polymorph, eV/atom: 0.0000
Density, g/cm³: 6.91
Energy relative to the elements, eV/atom: -1.80
Space-group type: P2_1/c, No. 14



# Li9Mn2Co5O16

An optimized crystal structure of Li9Mn2Co5O16 (PBE with a Hubbard U, the Materials Project).

The structure in extended XYZ format:
```
32
Lattice="2.9204 0.0000 0.0000 -1.3662 4.9372 0.0000 -1.2341 -1.5350 20.1265" Properties=species:S:1:pos:R:3 pbc="T T T"
Li 0.0000 0.0000 0.0000
Li -1.1974 0.3331 16.4992
Li -1.2717 3.9774 8.8483
Li 0.0390 2.7781 1.1114
Li 0.1471 -0.1571 13.7643
Li 0.1730 3.5594 6.3622
Li 0.2811 0.6241 19.0151
Li 1.5919 -0.5751 11.2782
Li 1.5175 3.0691 3.6273
Mn 0.0497 0.8329 5.0519
Mn 0.2704 2.5693 15.0746
Co -1.2709 2.1343 12.5368
Co -1.1698 2.9139 17.8233
Co 0.1601 1.7011 10.0633
Co 1.4899 0.4884 2.3032
Co 1.5910 1.2679 7.5898
O -1.2588 -0.7486 18.1294
O -1.1976 1.3822 14.4379
O -1.2850 2.9609 10.7292
O 0.0172 0.0468 6.8696
O 0.0428 1.6311 3.3300
O -1.1652 2.0430 19.3696
O -1.1859 3.7325 15.5891
- - -
ST_-Superman-_ That worked! I used it as a filter and it did provide me to data that I needed. Thank you!
@ArborRose Yes, when I do that, I can get the drill down when I click on the data. But I need to send this as a scheduled report via excel so they would like to see all the data on the excel sheet.
@ST_-Superman-_ I used the beast mode calc that you provided but I was not getting any data
@ArborRose the fields are site name, then count of ticket number and then ticket number - no aggregation so it can lists the ticket numbers I was able to get sites that had 3 or more tickets but then I needed to add the ticket numbers as well and thats where i'm getting stuck on. I noticed that as well i was looking at the…
Thank you ArborRose, I tried doing it that was as well but no data will show for that filter as well.